Day 3 of 14
Oh boy. Oh boy, oh boy, oh boy. This one is just plain, old ugly. We’ve all heard the stories about family members not taking gluten-free seriously. Even spouses. Makes my thank my lucky stars (again and again and again) for Mrs. Dude.
But this guy goes above and beyond in his assholishness and our gluten-free friend is asking for advice. It’s time for some tough love…for both of them.
Here’s the email I received:
Of all people, the one who has watched me be sick after contamination; the one who knows how terrified I am to eat at any restaurant (I have been glutened by a restaurant with a gluten free menu); he still doesn’t get it.
I have color-coded everything in my kitchen with RED being my “don’t use this for gluten” code. Still, he eats pizza, from the kitchen counter, wiping his bearded and mustached mouth with my RED dish towels. Served off of my granite counter top. Reheated in my toaster oven or on the turntable in the microwave.
I finally blew my top when I pointed out that he was using a red towel or utensil or wire mesh strainer marked RED to strain his bow-tie pasta and he dismissed my complaint with his usual “It won’t hurt you. You are overreacting. You are not celiac.”
His carelessness makes me afraid to use my own kitchen without first washing everything and drying with a fresh out of the dryer red towel. Every meal. If I get contaminated, the distress begins between 20 and 40 minutes and continues for 4 to 6 hours. This makes me afraid to eat. Even in my own home because of the chance of cross-contamination.
When even the people closest to you don’t understand and don’t respect this disease, I lose heart of ever healing. Since my blow up, my husband has made an effort to keep my red coded items separate in the kitchen, but still treats me as if I am “nagging” when I find him using them with gluten products. I need a kosher kitchen. Not to separate dairy and meat. But to isolate gluten from gluten-free by zones!
Ok…like I said. Tough love time.
First…to the woman who wrote the email. Have you been tested for celiac? The reason I ask is that there is no valid blood test to diagnose gluten intolerance, as far as I know. Have you been to a legit doctor and been tested for celiac with blood work and an endoscopy? Not that I am remotely excusing your husband’s boor-like behavior, but since it seems you are going to stick it out with him and his lame point seems only to be “you don’t have celiac disease”, perhaps a diagnosis will turn him back into a human being again.
5 years? That’s a long time. You’re more patient than I would be.
Now…to the husband. You seriously wipe your beard and mustache using a dish towel?? Forget if it’s red, blue, paisley or plaid? Ever hear of a napkin? Look, whether you “believe” in gluten intolerance or not, didn’t you take some vows some years back? Remember the sentence “for better of for worse, in sickness and in health”? Ring a bell at all? Dude, she already feels like shit that she has to go through the ringer to try to keep her home safe and stay healthy. Don’t make her feel even worse about it. She’s not asking you to eat gluten-free in the house. Just to respect her space, respect her wishes and respect her as a person.
If you can’t do that…gluten is the least of your marriage’s problems.
This is passive aggressive and points to deeper issues in the marriage.
Totally agree! The Dude said it all and very well, but there are deeper issues here, so says my inner Dear Abby as well as my gut. He needs to do some forced research, read The Dude, and get to counseling!!! I do not know how this marriage has lasted this long. Please put yourself first, and do whatever is necessary to either get out or get this guy on your page. I doubt he ever will be, though, as he is very selfish and a narcissist!! Been there, done that. Life is way too short!
100% agree.
I suggest that you explain that you will leave before you pass away from slow starvation due to Celiac.
Get your doctor to explain
put some laxatives in his food for a few days – perhaps a taste of the issues might help – Although you have to realize that this is considered assault. Why it is NOT assault to expose someone with Celiac to gluten is beyond my understanding
Wouldn’t change my Wheaties for the world! (A certain step-parent, maybe, but never my amazing husband or our son.)
Even though they both eat “normal” bread in our house, we’ve managed to designate “crumby” and “clean” areas in the kitchen; many food items we choose to buy only gluten free; if it’s a “mixed” meal, mine is served first; we use a dishwasher to ensure utensils are washed very thoroughly; contaminated cloths go straight in the wash.
It was a big change, especially in the beginning, and we made mistakes. But we’ve learned as we have gone along.
If my husband ever reads this, I would like him to know I am incredibly privileged to love and be loved by such a caring individual.
Wow…. That man has some serious issues! The thing that keeps running through my head is, if he loves her why in the world doesn’t he respect her diet weather or not he agrees. He sees the pain it causes. Why in the world would he subject her to it?!?!
Wow! The husband is an arrogant ass and quite possibly has psychological problems. How anyone can claim to love someone and then mock them for being ill, is beyond me. He is deliberately baiting her and it sounds like he is trying to make her sick. How she stood him this long, I don’t know. She might want to consider leaving him before the problem escalates, and it will. The man is abusive and will not stop his behavior without a wake up call and/ or counseling. She needs to run, not walk away before he hurts her worse.
Yes, we all agree that the man is a jerk. And as the first comment said, it is totally passive aggressive. So does that make me a bad person when my brain went right to: soak a red dishcloth (that he will use on his beard and face), in ammonia and let it dry. One swipe near his face and she may have to tell him that HE is over reacting. She just has to make sure she knows which cloth is the ammonia one. Or she can switch to paper towels only. In a kitchen where there is gluten around, I put a paper towel down under ALL food I prepare – to protect the food from anything that might be on the counter. Which brings me to the last point. Why is there gluten coming into this house? Stop buying it. If he is making his own gluten-full meals, then HE needs to be banished to a makeshift kitchen, ummm, maybe in the garage or the basement. Dorm fridge, hot plate, microwave, dishcloths….the whole set up – AWAY from the GF kitchen. He is NOT more important than her! What a jerk.
That is my step-dad to a T. My brother is getting better. They both have no clue and don’t ant to know or understand. It is very difficult, especially the holidays.
== Data records from another source follow ==
____________
[1]
# Na3Tl4I8 PBE relaxed
data_Na3Tl4I8
_symmetry_space_group_name_H-M 'C 1 2/m 1'
_symmetry_Int_Tables_number 12
_symmetry_space_group_name_Hall '-C 2y'
_cell_length_a 13.440
_cell_length_b 13.494
_cell_length_c 9.513
_cell_angle_alpha 90.00
_cell_angle_beta 134.34
_cell_angle_gamma 90.00
loop_
_atom_site_label
_atom_site_fract_x
_atom_site_fract_y
_atom_site_fract_z
Na1 0.000 0.000 0.000
Na2 0.250 0.250 0.000
Tl1 0.000 0.000 0.500
Tl2 0.000 0.500 0.000
Tl3 0.250 0.250 0.500
I1 0.000 0.242 0.000
I2 0.000 0.253 0.500
I3 0.238 0.000 0.996
I4 0.245 0.000 0.481
# - M_tot (Bohr magnetons per cell) = 0.0
# - DFT total energy (eV per atom) = -2.54
# - crystal system = monoclinic
# - density of states at the Fermi level (states/eV per atom) = 0.549



[2]
# Na2TlI2 PBE relaxed
data_Na2TlI2
_symmetry_space_group_name_H-M 'P 4/m b m'
_symmetry_Int_Tables_number 127
_symmetry_space_group_name_Hall '-P 4 2ab'
_cell_length_a 9.197
_cell_length_b 9.197
_cell_length_c 4.120
_cell_angle_alpha 90.00
_cell_angle_beta 90.00
_cell_angle_gamma 90.00
loop_
_atom_site_label
_atom_site_fract_x
_atom_site_fract_y
_atom_site_fract_z
Na1 0.152 0.348 0.000
Tl1 0.000 0.000 0.500
I1 0.152 0.652 0.500
# - ΔE to the lowest computed polymorph (kJ per mole of atoms) = 0.0
# - M_tot (Bohr magnetons per cell) = 0.0
# - DFT total energy (eV per atom) = -2.38
# - crystal system = tetragonal
# - density of states at the Fermi level (states/eV per atom) = 0.333



[3]
# Na3TlI6 PBE relaxed
data_Na3TlI6
_symmetry_space_group_name_H-M 'F m -3 m'
_symmetry_Int_Tables_number 225
_symmetry_space_group_name_Hall '-F 4 2 3'
_cell_length_a 12.177
_cell_length_b 12.177
_cell_length_c 12.177
_cell_angle_alpha 90.00
_cell_angle_beta 90.00
_cell_angle_gamma 90.00
loop_
_atom_site_label
_atom_site_fract_x
_atom_site_fract_y
_atom_site_fract_z
Na1 0.000 0.000 0.000
Na2 0.250 0.250 0.250
Tl1 0.000 0.000 0.500
I1 0.000 0.000 0.254
# - M_tot (Bohr magnetons per cell) = 0.0
# - DFT total energy (eV per atom) = -2.20
# - crystal system = cubic
# - density of states at the Fermi level (states/eV per atom) = 0.388



[4]
# NaTl3I PBE relaxed
data_NaTl3I
_symmetry_space_group_name_H-M 'P m -3 m'
_symmetry_Int_Tables_number 221
_symmetry_space_group_name_Hall '-P 4 2 3'
_cell_length_a 5.827
_cell_length_b 5.827
_cell_length_c 5.827
_cell_angle_alpha 90.00
_cell_angle_beta 90.00
_cell_angle_gamma 90.00
loop_
_atom_site_label
_atom_site_fract_x
_atom_site_fract_y
_atom_site_fract_z
Na1 0.000 0.000 0.000
Tl1 0.000 0.000 0.500
I1 0.500 0.500 0.500
# - ΔE to the lowest computed polymorph (kJ per mole of atoms) = 0.0
# - M_tot (Bohr magnetons per cell) = 0.0
# - DFT total energy (eV per atom) = -1.92
# - crystal system = cubic
# - density of states at the Fermi level (states/eV per atom) = 0.721



[5]
# NaTl4I5 PBE relaxed
data_NaTl4I5
_symmetry_space_group_name_H-M 'I m m m'
_symmetry_Int_Tables_number 71
_symmetry_space_group_name_Hall '-I 2 2'
_cell_length_a 4.875
_cell_length_b 7.017
_cell_length_c 24.924
____________
Great post. This lady needs some serious advice. Five Years???? I’m not Stephen Hawkings but that is 1,825 days……wtf?!?
Unless this poor chick cannot leave her house for physical and or financial reasons then I would not be shopping/cooking/cleaning for this assf*ck.
Not sorry for being so blunt.
Jersey Girl
What Jersey Girl said!
• The page is interrupted by records of crystals:
/*
# 1
DFT (PBEsol) results for a geometry-optimized ZnHg3Bi structure.

## Properties
Size of the total moment   0.0 μB per formula unit
ΔH_f (0 K)   0.48 eV/atom

Cell and atoms, written as CIF:
```
data_ZnHg3Bi
_chemical_formula_sum 'Zn1 Hg3 Bi1'
_space_group_name_H-M_alt 'P m -3 m'
_space_group_IT_number 221
_space_group_name_Hall '-P 4 2 3'
_cell_length_a 5.767
_cell_length_b 5.767
_cell_length_c 5.767
_cell_angle_alpha 90.00
_cell_angle_beta 90.00
_cell_angle_gamma 90.00
loop_
_atom_site_label
_atom_site_fract_x
_atom_site_fract_y
_atom_site_fract_z
Zn1 0.000 0.000 0.000
Hg1 0.000 0.500 0.500
Bi1 0.500 0.500 0.500
```


# 2
DFT (PBEsol) results for a geometry-optimized CuAs2WSe structure.

## Properties
Size of the total moment   0.0 μB per formula unit
Formation energy without anion corrections   822 meV/atom

Cell and atoms, written as CIF:
```
data_CuAs2WSe
_chemical_formula_sum 'Cu1 As2 W1 Se1'
_space_group_name_H-M_alt 'P 4/m m m'
_space_group_IT_number 123
_space_group_name_Hall '-P 4 2'
_cell_length_a 4.833
_cell_length_b 4.833
_cell_length_c 4.840
_cell_angle_alpha 90.00
_cell_angle_beta 90.00
_cell_angle_gamma 90.00
loop_
_atom_site_label
_atom_site_fract_x
_atom_site_fract_y
_atom_site_fract_z
Cu1 0.000 0.000 0.000
As1 0.000 0.500 0.500
W1 0.500 0.500 0.500
Se1 0.500 0.500 0.000
```


# 3
DFT (PBEsol) results for a geometry-optimized Na2SrAs2 structure.

## Properties
Size of the total moment   0.0 μB per formula unit
ΔH_f (0 K)   -0.59 eV/atom

Cell and atoms, written as CIF:
```
data_Na2SrAs2
_chemical_formula_sum 'Na4 Sr2 As4'
_space_group_name_H-M_alt 'I 4/m m m'
_space_group_IT_number 139
_space_group_name_Hall '-I 4 2'
_cell_length_a 4.465
_cell_length_b 4.465
_cell_length_c 12.613
_cell_angle_alpha 90.00
_cell_angle_beta 90.00
_cell_angle_gamma 90.00
loop_
_atom_site_label
_atom_site_fract_x
_atom_site_fract_y
_atom_site_fract_z
Na1 0.000 0.500 0.250
Sr1 0.000 0.000 0.000
As1 0.000 0.000 0.401
```


# 4
DFT (PBEsol) results for a geometry-optimized MgHg2Cl structure.

## Properties
Size of the total moment   0.0 μB per formula unit
Formation energy without anion corrections   -206 meV/atom

Cell and atoms, written as CIF:
```
data_MgHg2Cl
_chemical_formula_sum 'Mg4 Hg8 Cl4'
_space_group_name_H-M_alt 'F m -3 m'
_space_group_IT_number 225
_space_group_name_Hall '-F 4 2 3'
_cell_length_a 7.257
_cell_length_b 7.257
_cell_length_c 7.257
_cell_angle_alpha 90.00
_cell_angle_beta 90.00
_cell_angle_gamma 90.00
loop_
_atom_site_label
_atom_site_fract_x
_atom_site_fract_y
_atom_site_fract_z
Mg1 0.000 0.000 0.000
Hg1 0.250 0.250 0.250
Cl1 0.000 0.000 0.500
```


# 5
DFT (PBEsol) results for a geometry-optimized IrRu2Pb structure.

## Properties
Size of the total moment   0.0 μB per formula unit
ΔH_f (0 K)   0.61 eV/atom

Cell and atoms, written as CIF:
```
data_IrRu2Pb
_chemical_formula_sum 'Ir3 Ru6 Pb3'
_space_group_name_H-M_alt 'R 3 m'
_space_group_IT_number 160
_space_group_name_Hall 'R 3 -2"'
_cell_length_a 2.8657
*/
Well Said. Sometimes you just got to say it the way it is
My husband not only gave up gluten in our house, but gave up gluten FOR GOOD when I was diagnosed with celiac. I can’t imagine dealing with the terror of eating out in my own home. I don’t know what advice I have for this couple, but I have experienced firsthand what sacrifices may need to be made “in sickness and in health.”
hhhhhhmmmm sad state of affairs for sure … I know it is hard for many of us to believe that so many have a hard time with the people who are closest to them. I know when I started on the gluten free path after my diagnosis my family took some time to come around and there were some tearful frustrating moments, followed by being in pain. Things have improved. Also I started a new relationship within the last 6 years … and not sure how to deal with my having to eat gluten free I did not push much at first … but I have an amazingly supportive partner … the first time he realized that he was making me sick drinking beer and then kissing me … HE STOPPED drinking beer – because you know what – kissing me was a lot more important and there are A LOT of other liquors in the world that we could both enjoy safely. It became the same with eating, once I started sharing meals with him we just naturally started to eat gluten free – because ONE meal is sometimes hard enough to fix with two full time working people. And when we started to share a home together – our home is gluten free, there is a hell of a lot of food in this world, a lot of it GLUTEN FREE naturally and the things that may not be the amazing alternatives are getting better all the time. We don’t miss out and we eat well, and now both our families make a 100% effort when we are together to have meals that are 85% if not the entire meal gluten free. All can be done if there is just some effort and a whole lot of LOVE.
In saying all this … bottom line is that as others have said I believe this writer has more problems than just not being able to keep her home safe, I think there is a real sad lack of simple caring and consideration in this marriage.
This person has my sympathies. I’ve known I have celiac for 13 years, and, even with a doctor using the c-word, my husband declared it was nonsense and that being completely gluten-free was “fanaticism.” He’s gotten a little better over the years, but to this day, I still don’t feel safe in my own kitchen.
A practical note about the towels — I always assume the towels are cross-contaminated. I keep a large supply of washed ones on hand and out of sight, and use a fresh one every time I need one for cooking or wiping dishes. If I’m drying my hands, I use a paper towel. Yes, it’s a bit wasteful and requires more laundry, but it’s worth it. I have also taken to hiding the mesh drainer somewhere I know my husband won’t look, ever since he used our last one to rinse some gluten-containing garbage in my absence and didn’t think to mention it before I used it again… Sometimes you have to live like a paranoid person to survive.
My own diagnosis did not come with an endoscopy, but I did have antibodies on a blood test. At the time the inflammation in my mouth and down my throat was so great, the doctor was reluctant to do the biopsy for fear of creating even more inflammation. It was suggested that I could simply try the diet and see what happened. The difference was so dramatic, and I get so sick from so much as a crumb, that there’s no question I have a serious gluten issue. I personally think that a lot of people continue to suffer needlessly because their diagnoses — whether it be celiac, non-celiac gluten sensitivity, gluten ataxia, etc — get dismissed if there was no endoscopy, or if celiac in its most classic presentation can’t be proven. Yet the symptoms persist and the person obviously reacts strongly to gluten. If this person gets that sick from gluten, there’s an issue, no matter what her abusive and smug husband thinks. Personally, I would think she’d have to be crazy to do a gluten challenge for the sake of an endoscopy when gluten makes her that sick. She knows what she needs to do to take care of herself. She knows that, at the very least, she is genetically susceptible and gets very sick from gluten. If that’s enough for her, it should be enough.
She should just leave the abusive bastard.
He absolutely does not give a shit about her, even if he claims to care, and that is absolutely just manipulative and abusive.
I had the same kind of relationship, about 7 years, and you do not see it until they really turn on you, they just manipulate & keep you hooked. The best thing is to just get out. Get out as soon as possible.
No excuse for him at all. You should not have to go through that. You are worth more than that. Get rid of him. His issue is a total lack of respect for you. He only cares about himself.
Wow. All I can say is “people are mean.”
And I don’t mean just the two from this e-mail.
She sounds like she’s causing half her stress, and he’s causing the other half. The vows are “for better or worse” and “in sickness and in health.” Sounds like each of them needs to remember there’s two parts to those vows, and it runs both ways.
I kinda go along with the laxative in his food….for weeks on end. Maybe some Ipecac as well. I bet we could get enough folks to pay your bail. Make sure your husband reads these posts.
So, this one made me cry. I totally get her situation. I am 63, disabled because of undiagnosed Celiac of 45 years, and cannot possibly start over after 31 years of marriage to a man who makes me feel my requests for bread crumbs not to be dropped all over the house are simply my way of controlling him. Treated as if I am a nag about it, I have begun feeling that it is no longer worth fighting about my trying to be safe in my own home. So, I get it. And telling someone like me that the marriage has deeper issues is totally a “duh” moment. It certainly doesn’t help with the situation, though. Sometimes, people just want to know that they are not really asking for too much from those they live with when they ask for a safe zone in their home. I will say to the writer of the email, you are not asking for too much. Get professional help asap for your marriage. If you can’t do that, get some counseling for yourself so you can learn to cope with what you cannot change.
Sorry for her husbands total lack of compassion. I would expect a “settling-in” period but 5 years? I was diagnosed with Celiac exactly 7 days ago. My hubs supported me while I got all of the gluten out of the kitchen and separated that which the kids cannot live without, only for him to bring home more gluten. This will be easy for me because I know how much better I feel without gluten. I only HOPE my husband can wrap his head around this and understand the severity of it. He has laughed at me already a few times and is not careful at all, nor does he “remember” that I have Celiac so he brings me home all sorts of goodies I can’t have. Thank you for this blog, I have sent him multiple posts, hopefully he will take the time to read them.
Actually you can be tested for gluten allergy as I was five years ago. They test for four antibodies when they test for celiac and the results determine the allergy. Two of my four were active meaning I am sensitive but not celiac. Celiac would have all four activated. Also, abdominal surgery such as csections can trigger the allergy due to putting stress on the abdominal functions and Area.